Sent: Wednesday, May 15, 2002 10:33 AM
Subject: Laden with falsehoods.
May 15, 2002
The Editor:
The Halifax Herald
Dear Editor:
Bob MacLaughlin's letter ["Not that simple' May 15] is laden
• Records of crystals from another source follow:
(1)
First-principles (r2SCAN) data for a relaxed structure of HfSe2Cl12, as listed in the Materials Project.

The total DFT energy (no corrections) is -1291.5 eV for the cell shown. For the total moment, the calculation gives 0.0 μB/cell. The calculation puts the formation enthalpy at 0 K at -89.0 kJ/mol of atoms.

It has space group Fdd2 (No. 43), with a = 11.987 Å, b = 12.937 Å, c = 21.916 Å, α = 90.00°, β = 90.00° and γ = 90.00°. The distinct sites, in fractional coordinates, are Hf at (0.000, 0.000, 0.000), Se at (0.006, 0.224, 0.582), Cl at (0.108, 0.172, 0.506), Cl at (0.111, 0.164, 0.655), Cl at (0.114, 0.418, 0.580), Cl at (0.116, 0.400, 0.078), Cl at (0.119, 0.155, 0.001) and Cl at (0.121, 0.423, 0.423).

=====

(2)
First-principles (r2SCAN) data for a relaxed structure of HfTe4Cl6, as listed in the Materials Project.

The total DFT energy (no corrections) is -195.7 eV for the cell shown. For the total moment, the calculation gives 0.0 μB/cell. The calculation puts the formation enthalpy at 0 K at -104.6 kJ/mol of atoms.

It has space group P-1 (No. 2), with a = 6.966 Å, b = 7.023 Å, c = 7.877 Å, α = 74.22°, β = 75.28° and γ = 83.10°. The distinct sites, in fractional coordinates, are Hf at (0.000, 0.000, 0.000), Te at (0.284, 0.685, 0.453), Te at (0.500, 0.409, 0.293), Cl at (0.118, 0.655, 0.117), Cl at (0.224, 0.010, 0.700) and Cl at (0.256, 0.122, 0.094).

* * * * *

(1)
Compound: SrAg2Ge2
Source: Materials Project
Functional: GGA-PBE
Structure: relaxed

Output
* SG: I4/mmm
* ΔH_f (0 K): -341 meV/atom
* calculated total energy: -3.66 eV per atom

a = 4.506 Å, b = 4.506 Å, c = 6.327 Å
α = 110.86°, β = 110.86°, γ = 90.00°
Fractional positions:
Sr  0.000  0.000  0.000
Ag  0.250  0.750  0.500
Ag  0.750  0.250  0.500
Ge  0.614  0.614  0.228
Ge  0.386  0.386  0.772


(2)
Compound: TbAgGe
Source: Materials Project
Functional: GGA-PBE
Structure: relaxed

Output
* SG: P-62m
* ΔH_f (0 K): -418 meV/atom
* calculated total energy: -4.45 eV per atom

a = 7.382 Å, b = 7.382 Å, c = 4.145 Å
α = 90.00°, β = 90.00°, γ = 120.00°
Fractional positions:
Tb  0.000  0.604  0.000
Tb  0.396  0.396  0.000
Tb  0.604  0.000  0.000
Ag  0.667  0.333  0.500
Ag  0.000  0.000  0.000
Ag  0.333  0.667  0.500
Ge  0.733  0.733  0.500
Ge  0.267  0.000  0.500
Ge  0.000  0.267  0.500


(3)
Compound: Ag8GeTe6
Source: Materials Project
Functional: GGA-PBE
Structure: relaxed

Output
* SG: P1
* polymorph energy (0 for the lowest one): 0 meV/atom
* ΔH_f (0 K): -209 meV/atom
* maximum piezoelectric response: 1.04 C/m2
* calculated total energy: -3.12 eV per atom

a = 8.154 Å, b = 8.167 Å, c = 8.302 Å
α = 61.77°, β = 62.09°, γ = 63.62°
Fractional positions:
Ag  0.120  0.797  0.779
Ag  0.830  0.164  0.764
Ag  0.785  0.792  0.416
Ag  0.690  0.337  0.060
Ag  0.349  0.666  0.024
Ag  0.982  0.995  0.449
Ag  0.431  0.999  0.974
Ag  0.033  0.413  0.972
Ge  0.509  0.514  0.460
Te  0.014  0.995  0.048
Te  0.759  0.743  0.787
Te  0.422  0.395  0.840
Te  0.890  0.405  0.367
with falsehoods. What he calls "the myth of a Palestinian homeland" is Palestne,
the historic homeland of the Palestinians, whose ancestors have lived in this
land since history began, despite numerous alien invaders. Professor Maxime
Rodinson, who is Jewish and the then Proessor of History at the Sorbonne
University in Paris, like many authoritative historians, stated in 1968 : " The
Arab population of Palestine was native in all senses of the word and their
Entry 1:
Li4Co5O12 | PBE+U | optimized geometry

Geometry as POSCAR:
```
Li4Co5O12
1.0
4.8830 0.0000 0.0000
-2.4384 4.2468 0.0000
-0.7977 -1.4387 9.7741
Li Co O
4 5 12
Direct
0.1635 0.3469 0.0096
0.0008 0.5058 0.4900
0.6532 0.8370 0.4890
0.2559 0.7620 0.2490
0.9214 0.0732 0.2514
0.7451 0.2535 0.7508
0.4144 0.5865 0.7502
0.5892 0.4145 0.2491
0.0822 0.9202 0.7512
0.0390 0.2171 0.6494
0.2960 0.4271 0.3561
0.6526 0.1367 0.3592
0.5800 0.6987 0.1467
0.7869 0.9610 0.8481
0.8545 0.3449 0.1511
0.1097 0.6142 0.8487
0.2125 0.0790 0.1462
0.4413 0.2827 0.8483
0.3795 0.8811 0.6474
0.7229 0.5587 0.6487
0.9213 0.7776 0.3598
```

Properties
Spin magnetization   3.9 μB/f.u.
Total energy after the MP2020 corrections   -132.7 eV/cell
Energy of formation   -1.433 eV per atom
Energy above the lowest structure with this stoichiometry   25 meV per atom
Calculated volume   203 Å³/cell

Entry 2:
Li4CoO4 | PBE+U | optimized geometry

Geometry as POSCAR:
```
Li4CoO4
1.0
-4.4378 -1.1230 2.5877
4.8263 -4.8346 6.1789
2.1266 12.8782 9.2361
Li Co O
32 8 32
Direct
0.4046 0.1520 0.6486
0.5954 0.1520 0.1486
0.1418 0.1937 0.8384
0.8582 0.1937 0.3384
0.8001 0.2487 0.7153
0.1999 0.2487 0.2153
0.6962 0.2797 0.5165
0.3038 0.2797 0.0165
0.3846 0.3873 0.7571
0.6154 0.3873 0.2571
0.1229 0.3599 0.5870
0.8771 0.3599 0.0870
0.6835 0.5471 0.9453
0.3165 0.5471 0.4453
0.1453 0.5821 0.2540
0.8547 0.5821 0.7540
0.1375 0.6765 0.9975
0.8625 0.6765 0.4975
0.3669 0.6824 0.8246
0.6331 0.6824 0.3246
0.1915 0.7012 0.6401
0.8085 0.7012 0.1401
0.6634 0.8061 0.6487
0.3366 0.8061 0.1487
0.8523 0.8391 0.8290
0.1477 0.8391 0.3290
0.6405 0.8573 0.0055
0.3595 0.8573 0.5055
0.7022 0.9453 0.2583
0.2978 0.9453 0.7583
0.8330 0.9810 0.4481
0.1670 0.9810 0.9481
0.5897 0.0650 0.8641
0.4103 0.0650 0.3641
0.0987 0.4645 0.8792
0.9013 0.4645 0.3792
0.5998 0.5363 0.6165
0.4002 0.5363 0.1165
0.9430 0.9688 0.1233
0.0570 0.9688 0.6233
0.9270 0.0380 0.8651
0.0730 0.0380 0.3651
0.5357 0.1597 0.2704
0.4643 0.1597 0.7704
0.0052 0.1592 0.6299
0.9948 0.1592 0.1299
0.4225 0.1298 0.9507
0.5775 0.1298 0.4507
0.0054 0.3860 0.4750
0.9946 0.3860 0.9750
0.4981 0.3488 0.1190
0.5019 0.3488 0.6190
0.0051 0.3752 0.7843
0.9949 0.3752 0.2843
0.4369 0.4813 0.8696
0.5631 0.4813 0.3696
0.9385 0.5548 0.6205
0.0615 0.5548 0.1205
0.5077 0.6274 0.2100
0.4923 0.6274 0.7100
0.9735 0.6513 0.8737
0.0265 0.6513 0.3737
0.5172 0.6564 0.0333
0.4828 0.6564 0.5333
0.9683 0.8631 0.5353
0.0317 0.8631 0.0353
0.5248 0.8738 0.3593
0.4752 0.8738 0.8593
0.0259 0.8481 0.2127
0.9741 0.8481 0.7127
0.5982 0.9445 0.1268
0.4018 0.9445 0.6268
```

Properties
Spin magnetization   5.0 μB/f.u.
Total energy after the MP2020 corrections   -403.4 eV/cell
Energy of formation   -1.765 eV per atom
Energy above the lowest structure with this stoichiometry   22 meV per atom
Calculated volume   774 Å³/cell

Entry 3:
Li20Co21O42 | PBE+U | optimized geometry

Geometry as POSCAR:
```
Li20Co21O42
1.0
8.5814 0.0000 0.0000
-3.8539 8.7055 0.0000
-3.3276 -2.8783 9.3111
Li Co O
20 21 42
Direct
roots in Palestine can be traced back at least forty centuries."
Ironically, Mr. MacLaughlin's letter comes on may 15, the
[Data records that have nothing to do with the entry]
- - -
(1)
The following is a DFT calculation (PBE) of NdSnAu after structural relaxation.

Results
**Formation enthalpy at 0 K**: -0.78 eV/atom
**Space-group type**: No. 194
**Electronic total energy**: -28.8 eV/cell

Lattice parameters (Å, degrees): 4.7481 4.7481 7.9343 90.00 90.00 120.00
Last column: nearest neighbours and their distance in Å.
Positions (direct):
Nd  0.0000  0.0000  0.0000  6 Au 3.38, 6 Sn 3.38
Nd  0.0000  0.0000  0.5000  6 Sn 3.38, 6 Au 3.38
Sn  0.3333  0.6667  0.2500  3 Au 2.74
Sn  0.6667  0.3333  0.7500  3 Au 2.74
Au  0.3333  0.6667  0.7500  3 Sn 2.74
Au  0.6667  0.3333  0.2500  3 Sn 2.74

---

(2)
The following is a DFT calculation (PBE) of YCu2 after structural relaxation.

Results
**Formation enthalpy at 0 K**: -0.26 eV/atom
**Space-group type**: No. 74
**Electronic total energy**: -61.8 eV/cell

Lattice parameters (Å, degrees): 4.2686 6.8966 7.2668 90.00 90.00 90.00
Last column: nearest neighbours and their distance in Å.
Positions (direct):
Y  0.0000  0.2500  0.0398  12 Cu 2.94-3.11
Y  0.0000  0.7500  0.9602  12 Cu 2.94-3.11
Y  0.5000  0.2500  0.4602  12 Cu 2.94-3.11
Y  0.5000  0.7500  0.5398  12 Cu 2.94-3.11
Cu  0.0000  0.0498  0.6645  4 Cu 2.47-2.76
Cu  0.0000  0.4502  0.6645  4 Cu 2.47-2.76
Cu  0.0000  0.5498  0.3355  4 Cu 2.47-2.76
Cu  0.0000  0.9502  0.3355  4 Cu 2.47-2.76
Cu  0.5000  0.0498  0.8355  4 Cu 2.47-2.76
Cu  0.5000  0.4502  0.8355  4 Cu 2.47-2.76
Cu  0.5000  0.5498  0.1645  4 Cu 2.47-2.76
Cu  0.5000  0.9502  0.1645  4 Cu 2.47-2.76

---

(3)
The following is a DFT calculation (PBE) of AsPb2Cl2O3 after structural relaxation.

Results
**Corrected total energy (MP2020 scheme)**: -82.761 eV per cell
**Formation enthalpy at 0 K**: -1.34 eV/atom
**Space-group type**: No. 11
**Electronic total energy**: -78.6 eV/cell

Lattice parameters (Å, degrees): 6.9106 5.7029 9.1157 90.00 90.37 90.00
Last column: nearest neighbours and their distance in Å.
Positions (direct):
As  0.2334  0.2500  0.2137  3 O 1.71-1.79
As  0.7666  0.7500  0.7863  3 O 1.71-1.79
Pb  0.0776  0.2500  0.6418  3 O 2.44-2.69
Pb  0.2067  0.7500  0.9495  4 O 2.50-2.59
Pb  0.7933  0.2500  0.0505  4 O 2.50-2.59
Pb  0.9224  0.7500  0.3582  3 O 2.44-2.69
Cl  0.2292  0.7500  0.6003  4 Pb 3.05-3.19, 3 O 3.16-3.38
Cl  0.3914  0.2500  0.8608  4 Pb 2.94-3.26
Cl  0.6086  0.7500  0.1392  4 Pb 2.94-3.26
Cl  0.7708  0.2500  0.3997  4 Pb 3.05-3.19, 3 O 3.16-3.38
O  0.0864  0.0134  0.1487  1 As 1.79
O  0.0864  0.4866  0.1487  1 As 1.79
O  0.2283  0.2500  0.4008  1 As 1.71
O  0.7717  0.7500  0.5992  1 As 1.71
O  0.9136  0.5134  0.8513  1 As 1.79
O  0.9136  0.9866  0.8513  1 As 1.79

----------

Li2AlVO4 PBE with a Hubbard U relaxed; M_tot = 2.00 μB/f.u.; VASP energy = -6.70 eV/atom; relative energy among the computed polymorphs = 65 meV per atom; DFT formation energy = -2.699 eV per atom
1.0
5.125 0.000 0.000
0.000 11.035 0.000
-5.088 0.000 6.471
Li Al V O
8 4 4 16
Direct
0.035 0.077 0.238 Li
0.035 0.423 0.738 Li
0.184 0.164 0.994 Li
0.184 0.336 0.494 Li
- - -
[The data records stop here]
54th. anniversray of the Palestinian Nakba [the great catastrophe],
when they were systematically ethnically cleansed from their homeland by
massacres and expulsion. He reiterates the fable that the Arabs
invaded Israel in 1948. Before a single Arab soldier entered Palestine,
on May 15, 1948, the Zionist forces had already driven out 350,000 Palestinian
refugees and occupied many cities and towns assigned, in the 1947 UN Partition
Scheme, for the Palestinian state. Mr. Ben Gurion, Israel's first prime
minister, on declaring the creation of Israel, on May 14,
1948, refused to define its borders and stated : " We are announcing the
creation a state in the western part o our country." He stated, in his diaries,
" To maintain the status quo will not do. we have to set up a state bent upon
expansion." He alaso stated that had it not been for the Arab intervention,
Israel would have taken the whole of Palestine and cleansed the Palestinians
completely, as he stated in a letter to his son, Amos, in 1937 that when the
Jewish state comes into being : " we will expel the Arabs and take their
I have stated repeatedly that the killing of innocent
civilians, be they Palestinians or Israelis, is abhorent and must be
condemned. Mr. MacLaughlin objects to the suicide bombers, but,evidently, finds
no fault in the killing of hundreds of Palestinians by F16's and Apache gunships
bombing with rockets, besides bulldozing their homes, and denying them any
medical aid. These acts have been condemned as war crimes by Amnesty
International, ICRC, Human Rights Watch and Israeli human rights groups like
B'Tselem. The few Palestinians who unfortunately revert to the suicide bombing
are young people who see their homes demolished, their parents humiliated and
are subjected to an oppressive occupation and daily humiliation and find
themselves helpless and hopeless. Give them F16's, tanks and Apaches and they
will abandon suicide bombing.
Evidently, Mr. MacLaughlin, like Israel and its leaders,
Sharon etc., have no place for international law and human rights conventions.
The fact remains that Israel is in illegal occupation of Palestinian
territories that stands, for 35 years, in defiance of international
law and repeated UN Security Council resolutions. It is the duty of all those
states and people , besides Israel's apologists, who care for human rights and
international legitimacy, to demand complete termination of this illegal
occupation, so that peace and security can be obtained for both
Palestinian and Israeli peoples.
Yours sincerely,
Ismail Zayid, M.D.